Entry 1:
This entry pairs a crystal structure of Sr2Pd3O8 with its calculated powder diffractogram. Radiation: λ = 1.5418 Å (Cu Kα). Structure: a cell relaxed with GGA-PBE.
Kinematic intensities with the Lorentz-polarization factor, no thermal factor.

abc: 11.679 6.336 5.368
angles: 90.00 109.97 90.00
Space group C2/m (No. 12)
Inequivalent atoms, fractional coordinates:
Sr 0.219 0.000 0.163 x4
Pd 0.000 0.248 0.500 x4
Pd 0.000 0.500 0.000 x2
O 0.094 0.500 0.403 x4
O 0.100 0.000 0.456 x4
O 0.102 0.280 0.891 x8

Top 10 peaks for 2θ from 10° to 80°, low angle first:
2θ 16.15, I 100.0, hkl 2 0 0; 2θ 25.95, I 69.9, hkl 1 1 1; 2θ 28.16, I 39.0, hkl 3 1 0; 2θ 28.49, I 69.0, hkl 3 1 -1; 2θ 32.63, I 78.2, hkl 4 0 0; 2θ 33.40, I 53.8, hkl 0 2 1; 2θ 34.44, I 55.6, hkl 2 2 -1; 2θ 42.63, I 47.0, hkl 4 2 -1; 2θ 51.80, I 45.8, hkl 4 2 1; 2θ 59.34, I 40.1, hkl 2 2 -3



Entry 2:
This entry pairs a crystal structure of Sn3I5Br with its calculated powder diffractogram. Radiation: λ = 1.5418 Å (Cu Kα). Structure: a cell relaxed with GGA-PBE.
Kinematic intensities with the Lorentz-polarization factor, no thermal factor.

abc: 10.780 31.494 4.650
angles: 90.00 90.00 90.00
Space group Cmmm (No. 65)
Inequivalent atoms, fractional coordinates:
Sn 0.000 0.000 0.000 x2
Sn 0.000 0.159 0.500 x4
Sn 0.000 0.331 0.000 x4
Sn 0.000 0.500 0.500 x2
I 0.000 0.228 0.000 x4
I 0.000 0.431 0.000 x4
I 0.203 0.000 0.500 x4
I 0.203 0.333 0.500 x8
Br 0.000 0.096 0.000 x4

Top 10 peaks for 2θ from 10° to 80°, low angle first:
2θ 16.45, I 43.9, hkl 2 0 0; 2θ 16.89, I 61.8, hkl 0 6 0; 2θ 25.29, I 94.9, hkl 2 0 1; 2θ 25.59, I 86.1, hkl 0 6 1; 2θ 32.63, I 68.3, hkl 3 3 1; 2θ 33.10, I 55.9, hkl 1 9 1; 2θ 33.24, I 38.0, hkl 4 0 0; 2θ 34.16, I 35.3, hkl 0 12 0; 2θ 38.73, I 40.7, hkl 0 0 2; 2θ 40.90, I 100.0, hkl 3 9 1


Structure and computed powder diffractogram of Y5Ho3Bi8 (a crystal structure in Alexandria, relaxed with PBE; copper Kα).
No peak broadening, texture or thermal motion is included.

Crystal structure
```
Y5Ho3Bi8
1.0
4.475 2.584 7.308
-4.475 2.584 7.308
0.000 -5.168 7.308
Y Ho Bi
5 3 8
Cartesian
0.000 0.000 0.000
-2.238 -1.292 7.308
-2.238 1.292 14.616
0.000 2.584 7.308
0.000 0.000 10.962
-4.475 0.000 10.962
-2.238 1.292 3.654
2.238 1.292 3.654
0.000 0.000 5.468
-2.243 -1.295 12.780
0.000 -2.590 9.144
-2.243 1.295 9.144
2.243 -1.295 12.780
0.000 2.590 12.780
2.243 1.295 9.144
0.000 0.000 16.456
```

Largest 12 diffraction maxima, in order of rising 2θ, 10 to 90 degrees two-theta:
2theta, intensity
12.11, 2
24.36, 14
28.20, 100
40.31, 78
47.66, 8
49.92, 28
58.32, 13
64.14, 3
66.02, 37
73.27, 28
78.54, 3
87.11, 9


PuGa8Co4: simulated powder X-ray diffraction pattern (Cu Kα, 1.54184 Å), based on a DFT-relaxed cell (PBE, Alexandria).

Main lines, most intense first (15° ≤ 2θ ≤ 90°):
hkl	2θ (°)	d [Å]	I/Imax
3 2 1	41.88	2.157	100
2 0 2	40.94	2.204	63
3 0 1	35.97	2.497	56
4 0 0	42.19	2.142	55
2 1 1	29.06	3.073	39
6 3 1	76.91	1.240	26

Structure:
Lattice parameters (Å, degrees): 8.569 8.569 5.142 90.00 90.00 90.00
Space group I4/mmm (No. 139)
Asymmetric unit:
1 Pu 0.000 0.000 0.000 [2 per cell]
2 Ga 0.000 0.222 0.500 [8 per cell]
3 Ga 0.000 0.339 0.000 [8 per cell]
4 Co 0.250 0.250 0.250 [8 per cell]


Np2CuCl8: simulated powder X-ray diffraction pattern (Cu Kα, 1.54184 Å), based on a DFT-relaxed cell (PBE, Alexandria).

Main lines, most intense first (15° ≤ 2θ ≤ 90°):
hkl	2θ (°)	d [Å]	I/Imax
0 0 1	16.80	5.277	100
1 3 0	23.40	3.802	54
2 0 0	20.85	4.260	49
1 3 1	30.09	2.970	48
3 3 0	38.12	2.361	40
3 3 -1	39.32	2.291	31

Structure:
Lattice parameters (Å, degrees): 8.671 12.744 5.371 90.00 100.73 90.00
Space group Cm (No. 8)
Asymmetric unit:
1 Np 0.000 0.173 0.000 [4 per cell]
2 Cu 0.001 0.500 0.001 [2 per cell]
3 Cl 0.000 0.233 0.500 [4 per cell]
4 Cl 0.105 0.000 0.280 [2 per cell]
5 Cl 0.187 0.363 0.073 [4 per cell]
6 Cl 0.313 0.137 0.928 [4 per cell]
7 Cl 0.395 0.500 0.720 [2 per cell]

Return everything further above exactly.

Entry 1:
This entry pairs a crystal structure of Sr2Pd3O8 with its calculated powder diffractogram. Radiation: λ = 1.5418 Å (Cu Kα). Structure: a cell relaxed with GGA-PBE.
Kinematic intensities with the Lorentz-polarization factor, no thermal factor.

abc: 11.679 6.336 5.368
angles: 90.00 109.97 90.00
Space group C2/m (No. 12)
Inequivalent atoms, fractional coordinates:
Sr 0.219 0.000 0.163 x4
Pd 0.000 0.248 0.500 x4
Pd 0.000 0.500 0.000 x2
O 0.094 0.500 0.403 x4
O 0.100 0.000 0.456 x4
O 0.102 0.280 0.891 x8

Top 10 peaks for 2θ from 10° to 80°, low angle first:
2θ 16.15, I 100.0, hkl 2 0 0; 2θ 25.95, I 69.9, hkl 1 1 1; 2θ 28.16, I 39.0, hkl 3 1 0; 2θ 28.49, I 69.0, hkl 3 1 -1; 2θ 32.63, I 78.2, hkl 4 0 0; 2θ 33.40, I 53.8, hkl 0 2 1; 2θ 34.44, I 55.6, hkl 2 2 -1; 2θ 42.63, I 47.0, hkl 4 2 -1; 2θ 51.80, I 45.8, hkl 4 2 1; 2θ 59.34, I 40.1, hkl 2 2 -3



Entry 2:
This entry pairs a crystal structure of Sn3I5Br with its calculated powder diffractogram. Radiation: λ = 1.5418 Å (Cu Kα). Structure: a cell relaxed with GGA-PBE.
Kinematic intensities with the Lorentz-polarization factor, no thermal factor.

abc: 10.780 31.494 4.650
angles: 90.00 90.00 90.00
Space group Cmmm (No. 65)
Inequivalent atoms, fractional coordinates:
Sn 0.000 0.000 0.000 x2
Sn 0.000 0.159 0.500 x4
Sn 0.000 0.331 0.000 x4
Sn 0.000 0.500 0.500 x2
I 0.000 0.228 0.000 x4
I 0.000 0.431 0.000 x4
I 0.203 0.000 0.500 x4
I 0.203 0.333 0.500 x8
Br 0.000 0.096 0.000 x4

Top 10 peaks for 2θ from 10° to 80°, low angle first:
2θ 16.45, I 43.9, hkl 2 0 0; 2θ 16.89, I 61.8, hkl 0 6 0; 2θ 25.29, I 94.9, hkl 2 0 1; 2θ 25.59, I 86.1, hkl 0 6 1; 2θ 32.63, I 68.3, hkl 3 3 1; 2θ 33.10, I 55.9, hkl 1 9 1; 2θ 33.24, I 38.0, hkl 4 0 0; 2θ 34.16, I 35.3, hkl 0 12 0; 2θ 38.73, I 40.7, hkl 0 0 2; 2θ 40.90, I 100.0, hkl 3 9 1


Structure and computed powder diffractogram of Y5Ho3Bi8 (a crystal structure in Alexandria, relaxed with PBE; copper Kα).
No peak broadening, texture or thermal motion is included.

Crystal structure
```
Y5Ho3Bi8
1.0
4.475 2.584 7.308
-4.475 2.584 7.308
0.000 -5.168 7.308
Y Ho Bi
5 3 8
Cartesian
0.000 0.000 0.000
-2.238 -1.292 7.308
-2.238 1.292 14.616
0.000 2.584 7.308
0.000 0.000 10.962
-4.475 0.000 10.962
-2.238 1.292 3.654
2.238 1.292 3.654
0.000 0.000 5.468
-2.243 -1.295 12.780
0.000 -2.590 9.144
-2.243 1.295 9.144
2.243 -1.295 12.780
0.000 2.590 12.780
2.243 1.295 9.144
0.000 0.000 16.456
```

Largest 12 diffraction maxima, in order of rising 2θ, 10 to 90 degrees two-theta:
2theta, intensity
12.11, 2
24.36, 14
28.20, 100
40.31, 78
47.66, 8
49.92, 28
58.32, 13
64.14, 3
66.02, 37
73.27, 28
78.54, 3
87.11, 9


PuGa8Co4: simulated powder X-ray diffraction pattern (Cu Kα, 1.54184 Å), based on a DFT-relaxed cell (PBE, Alexandria).

Main lines, most intense first (15° ≤ 2θ ≤ 90°):
hkl	2θ (°)	d [Å]	I/Imax
3 2 1	41.88	2.157	100
2 0 2	40.94	2.204	63
3 0 1	35.97	2.497	56
4 0 0	42.19	2.142	55
2 1 1	29.06	3.073	39
6 3 1	76.91	1.240	26

Structure:
Lattice parameters (Å, degrees): 8.569 8.569 5.142 90.00 90.00 90.00
Space group I4/mmm (No. 139)
Asymmetric unit:
1 Pu 0.000 0.000 0.000 [2 per cell]
2 Ga 0.000 0.222 0.500 [8 per cell]
3 Ga 0.000 0.339 0.000 [8 per cell]
4 Co 0.250 0.250 0.250 [8 per cell]


Np2CuCl8: simulated powder X-ray diffraction pattern (Cu Kα, 1.54184 Å), based on a DFT-relaxed cell (PBE, Alexandria).

Main lines, most intense first (15° ≤ 2θ ≤ 90°):
hkl	2θ (°)	d [Å]	I/Imax
0 0 1	16.80	5.277	100
1 3 0	23.40	3.802	54
2 0 0	20.85	4.260	49
1 3 1	30.09	2.970	48
3 3 0	38.12	2.361	40
3 3 -1	39.32	2.291	31

Structure:
Lattice parameters (Å, degrees): 8.671 12.744 5.371 90.00 100.73 90.00
Space group Cm (No. 8)
Asymmetric unit:
1 Np 0.000 0.173 0.000 [4 per cell]
2 Cu 0.001 0.500 0.001 [2 per cell]
3 Cl 0.000 0.233 0.500 [4 per cell]
4 Cl 0.105 0.000 0.280 [2 per cell]
5 Cl 0.187 0.363 0.073 [4 per cell]
6 Cl 0.313 0.137 0.928 [4 per cell]
7 Cl 0.395 0.500 0.720 [2 per cell]